**To do:**
What is needed: repeat the block further below unchanged.

**Entries:**
Entry 1:
LiI at its PBEsol-relaxed geometry, computed with SCAN.

```
LiI
1.0
4.493 0.000 0.000
-2.247 3.891 0.000
0.000 0.000 7.256
Li I
2 2
Direct
0.333 0.667 0.000
0.667 0.333 0.500
0.333 0.667 0.621
0.667 0.333 0.121
```

Values from the calculation:
Total moment in μB/cell: 0.00
Formation energy from raw total energies in eV per atom: -1.34
Energy above the most stable polymorph in this dataset in meV per atom: 0

Entry 2:
SrAsIr at its PBEsol-relaxed geometry, computed with SCAN.

```
SrAsIr
1.0
4.161 0.000 0.000
-2.081 3.604 0.000
0.000 0.000 4.566
Sr As Ir
1 1 1
Direct
0.000 0.000 0.000
0.667 0.333 0.500
0.333 0.667 0.500
```

Values from the calculation:
Total moment in μB/cell: 0.00
E_form in eV/atom: -0.817

Entry 3:
MgFe2Co at its PBEsol-relaxed geometry, computed with SCAN.

```
MgFe2Co
1.0
2.906 0.000 0.000
0.000 2.906 0.000
0.000 0.000 5.961
Mg Fe Co
1 2 1
Direct
0.000 0.000 0.000
0.000 0.000 0.490
0.500 0.500 0.702
0.500 0.500 0.285
```

Values from the calculation:
Total moment in μB/cell: 6.90
E_form in eV/atom: 0.092

Entry 4:
GePtW3 at its PBEsol-relaxed geometry, computed with SCAN.

```
GePtW3
1.0
4.491 0.000 0.000
0.000 4.491 0.000
0.000 0.000 4.491
Ge Pt W
1 1 3
Direct
0.000 0.000 0.000
0.500 0.500 0.500
0.000 0.000 0.500
0.000 0.500 0.000
0.500 0.000 0.000
```

Values from the calculation:
Total moment in μB/cell: 0.00
E_form in eV/atom: 1.802

Entry 5:
AlTl2Cu3Se4 at its PBEsol-relaxed geometry, computed with SCAN.

```
AlTl2Cu3Se4
1.0
3.881 0.000 0.000
0.000 3.881 0.000
0.000 0.000 14.355
Al Tl Cu Se
1 2 3 4
Direct
0.000 0.000 0.000
0.000 0.500 0.710
0.500 0.000 0.290
0.000 0.000 0.500
0.500 0.500 0.000
0.500 0.500 0.500
0.000 0.500 0.107
0.000 0.500 0.392
0.500 0.000 0.608
0.500 0.000 0.893
```

Values from the calculation:
Total moment in μB/cell: 0.00
Formation energy from raw total energies in eV per atom: -0.40

Entry 6:
LiTa2Ag at its PBEsol-relaxed geometry, computed with SCAN.

```
LiTa2Ag
1.0
1.403 0.810 10.159
-1.403 0.810 10.159
0.000 -1.620 10.159
Li Ta Ag
1 2 1
Direct
0.000 0.000 0.000
0.248 0.248 0.248
0.752 0.752 0.752
0.500 0.500 0.500
```

Values from the calculation:
Total moment in μB/cell: 0.00
E_form in eV/atom: 0.392
Energy above the most stable polymorph in this dataset in meV per atom: 60

Entry 7:
MgV2O4 at its PBEsol-relaxed geometry, computed with SCAN.

```
MgV2O4
1.0
0.000 4.176 4.176
4.176 0.000 4.176
4.176 4.176 0.000
Mg V O
2 4 8
Direct
0.125 0.125 0.125
0.875 0.875 0.875
0.000 0.500 0.500
0.500 0.000 0.500
0.500 0.500 0.000
0.500 0.500 0.500
0.260 0.260 0.260
0.260 0.260 0.721
0.260 0.721 0.260
0.279 0.740 0.740
0.721 0.260 0.260
0.740 0.279 0.740
0.740 0.740 0.279
0.740 0.740 0.740
```

Values from the calculation:
Total moment in μB/cell: 8.00
Formation energy from raw total energies in eV per atom: -2.77
Energy above the most stable polymorph in this dataset in meV per atom: 0

Entry 8:
KFeP2 at its PBEsol-relaxed geometry, computed with SCAN.

```
KFeP2
1.0
0.000 3.216 3.216
3.216 0.000 3.216
3.216 3.216 0.000
K Fe P
1 1 2
Direct
0.000 0.000 0.000
0.500 0.500 0.500
0.250 0.250 0.250
0.750 0.750 0.750
```

Values from the calculation:
Total moment in μB/cell: 3.41
E_form in eV/atom: 0.658
Energy above the most stable polymorph in this dataset in meV per atom: 755

Entry 9:
CdTe2Au2 at its PBEsol-relaxed geometry, computed with SCAN.

```
CdTe2Au2
1.0
-2.245 2.245 6.187
2.245 -2.245 6.187
2.245 2.245 -6.187
Cd Te Au
1 2 2
Direct
0.000 0.000 0.000
0.250 0.750 0.500
0.750 0.250 0.500
0.395 0.395 0.000
0.605 0.605 0.000
```

Values from the calculation:
Total moment in μB/cell: 0.00
Formation energy from raw total energies in eV per atom: 0.23

Entry 10:
CdTc at its PBEsol-relaxed geometry, computed with SCAN.

```
CdTc
1.0
1.467 -2.350 0.000
1.467 2.350 0.000
0.000 0.000 9.721
Cd Tc
2 2
Direct
0.250 0.750 0.860
0.750 0.250 0.140
0.250 0.750 0.396
0.750 0.250 0.604
```

Values from the calculation:
Total moment in μB/cell: 0.00
E_form in eV/atom: 0.291

**Response:**
Entry 1:
LiI at its PBEsol-relaxed geometry, computed with SCAN.

```
LiI
1.0
4.493 0.000 0.000
-2.247 3.891 0.000
0.000 0.000 7.256
Li I
2 2
Direct
0.333 0.667 0.000
0.667 0.333 0.500
0.333 0.667 0.621
0.667 0.333 0.121
```

Values from the calculation:
Total moment in μB/cell: 0.00
Formation energy from raw total energies in eV per atom: -1.34
Energy above the most stable polymorph in this dataset in meV per atom: 0

Entry 2:
SrAsIr at its PBEsol-relaxed geometry, computed with SCAN.

```
SrAsIr
1.0
4.161 0.000 0.000
-2.081 3.604 0.000
0.000 0.000 4.566
Sr As Ir
1 1 1
Direct
0.000 0.000 0.000
0.667 0.333 0.500
0.333 0.667 0.500
```

Values from the calculation:
Total moment in μB/cell: 0.00
E_form in eV/atom: -0.817

Entry 3:
MgFe2Co at its PBEsol-relaxed geometry, computed with SCAN.

```
MgFe2Co
1.0
2.906 0.000 0.000
0.000 2.906 0.000
0.000 0.000 5.961
Mg Fe Co
1 2 1
Direct
0.000 0.000 0.000
0.000 0.000 0.490
0.500 0.500 0.702
0.500 0.500 0.285
```

Values from the calculation:
Total moment in μB/cell: 6.90
E_form in eV/atom: 0.092

Entry 4:
GePtW3 at its PBEsol-relaxed geometry, computed with SCAN.

```
GePtW3
1.0
4.491 0.000 0.000
0.000 4.491 0.000
0.000 0.000 4.491
Ge Pt W
1 1 3
Direct
0.000 0.000 0.000
0.500 0.500 0.500
0.000 0.000 0.500
0.000 0.500 0.000
0.500 0.000 0.000
```

Values from the calculation:
Total moment in μB/cell: 0.00
E_form in eV/atom: 1.802

Entry 5:
AlTl2Cu3Se4 at its PBEsol-relaxed geometry, computed with SCAN.

```
AlTl2Cu3Se4
1.0
3.881 0.000 0.000
0.000 3.881 0.000
0.000 0.000 14.355
Al Tl Cu Se
1 2 3 4
Direct
0.000 0.000 0.000
0.000 0.500 0.710
0.500 0.000 0.290
0.000 0.000 0.500
0.500 0.500 0.000
0.500 0.500 0.500
0.000 0.500 0.107
0.000 0.500 0.392
0.500 0.000 0.608
0.500 0.000 0.893
```

Values from the calculation:
Total moment in μB/cell: 0.00
Formation energy from raw total energies in eV per atom: -0.40

Entry 6:
LiTa2Ag at its PBEsol-relaxed geometry, computed with SCAN.

```
LiTa2Ag
1.0
1.403 0.810 10.159
-1.403 0.810 10.159
0.000 -1.620 10.159
Li Ta Ag
1 2 1
Direct
0.000 0.000 0.000
0.248 0.248 0.248
0.752 0.752 0.752
0.500 0.500 0.500
```

Values from the calculation:
Total moment in μB/cell: 0.00
E_form in eV/atom: 0.392
Energy above the most stable polymorph in this dataset in meV per atom: 60

Entry 7:
MgV2O4 at its PBEsol-relaxed geometry, computed with SCAN.

```
MgV2O4
1.0
0.000 4.176 4.176
4.176 0.000 4.176
4.176 4.176 0.000
Mg V O
2 4 8
Direct
0.125 0.125 0.125
0.875 0.875 0.875
0.000 0.500 0.500
0.500 0.000 0.500
0.500 0.500 0.000
0.500 0.500 0.500
0.260 0.260 0.260
0.260 0.260 0.721
0.260 0.721 0.260
0.279 0.740 0.740
0.721 0.260 0.260
0.740 0.279 0.740
0.740 0.740 0.279
0.740 0.740 0.740
```

Values from the calculation:
Total moment in μB/cell: 8.00
Formation energy from raw total energies in eV per atom: -2.77
Energy above the most stable polymorph in this dataset in meV per atom: 0

Entry 8:
KFeP2 at its PBEsol-relaxed geometry, computed with SCAN.

```
KFeP2
1.0
0.000 3.216 3.216
3.216 0.000 3.216
3.216 3.216 0.000
K Fe P
1 1 2
Direct
0.000 0.000 0.000
0.500 0.500 0.500
0.250 0.250 0.250
0.750 0.750 0.750
```

Values from the calculation:
Total moment in μB/cell: 3.41
E_form in eV/atom: 0.658
Energy above the most stable polymorph in this dataset in meV per atom: 755

Entry 9:
CdTe2Au2 at its PBEsol-relaxed geometry, computed with SCAN.

```
CdTe2Au2
1.0
-2.245 2.245 6.187
2.245 -2.245 6.187
2.245 2.245 -6.187
Cd Te Au
1 2 2
Direct
0.000 0.000 0.000
0.250 0.750 0.500
0.750 0.250 0.500
0.395 0.395 0.000
0.605 0.605 0.000
```

Values from the calculation:
Total moment in μB/cell: 0.00
Formation energy from raw total energies in eV per atom: 0.23

Entry 10:
CdTc at its PBEsol-relaxed geometry, computed with SCAN.

```
CdTc
1.0
1.467 -2.350 0.000
1.467 2.350 0.000
0.000 0.000 9.721
Cd Tc
2 2
Direct
0.250 0.750 0.860
0.750 0.250 0.140
0.250 0.750 0.396
0.750 0.250 0.604
```

Values from the calculation:
Total moment in μB/cell: 0.00
E_form in eV/atom: 0.291